such a cute cat. and those white paws... Unfortunately cats show signs of old age too. But I'm sure she has a great home and you will do everything in your power to make her feel comfortable :)
Thanks, you two. And yes, we definetely will do anything for her. She's a family member and such an elegant old lady and we love her, whichever disabilities she may have.
They are doing their best to avoid vomiting on my bed, but they never vomit in the kitchen or bathroom where there is tile. They prefer the carpet. I'm getting very skilled at spot cleaning. If I take my glasses off, I can hardly see the spots!
I had one who did her best not to vomit on the carpeting, but on tile or wood instead (she'd try to run there, while making preliminary heaves, poor lamb). She was a sweetheart.
Here the text breaks off for crystal structures >
- - -
[1]
{
  "formula": "Cd3TcSb",
  "functional": "PBE",
  "state": "relaxed",
  "lattice_angstrom": [[5.243, 0.000, 0.000], [0.000, 5.243, 0.000], [0.000, 0.000, 5.243]],
  "species": ["Cd", "Cd", "Cd", "Tc", "Sb"],
  "fractional_positions": [[0.000, 0.000, 0.500], [0.000, 0.500, 0.000], [0.500, 0.000, 0.000], [0.000, 0.000, 0.000], [0.500, 0.500, 0.500]],
  "space_group": "Pm-3m (221)",
  "m_tot_mub_per_cell": 2.29,
  "polymorph_energy_kj_per_mol_atoms": 0.0,
  "energy_ev_per_atom": -2.54,
  "n_ef_per_ev_atom": 0.457
}

---

[2]
{
  "formula": "HoGeRh",
  "functional": "PBE",
  "state": "relaxed",
  "lattice_angstrom": [[6.907, 0.000, 0.000], [0.000, 4.317, 0.000], [0.000, 0.000, 7.542]],
  "species": ["Ho", "Ho", "Ho", "Ho", "Ge", "Ge", "Ge", "Ge", "Rh", "Rh", "Rh", "Rh"],
  "fractional_positions": [[0.002, 0.250, 0.195], [0.498, 0.750, 0.695], [0.502, 0.250, 0.305], [0.998, 0.750, 0.805], [0.212, 0.750, 0.395], [0.288, 0.250, 0.895], [0.712, 0.750, 0.105], [0.788, 0.250, 0.605], [0.157, 0.250, 0.568], [0.343, 0.750, 0.068], [0.657, 0.250, 0.932], [0.843, 0.750, 0.432]],
  "space_group": "Pnma (62)",
  "m_tot_mub_per_cell": 0.00,
  "ef_ev_per_atom": -0.992,
  "energy_ev_per_atom": -6.51,
  "n_ef_per_ev_atom": 0.543
}

---

[3]
{
  "formula": "BaLa3Ir",
  "functional": "PBE",
  "state": "relaxed",
  "lattice_angstrom": [[3.189, -11.613, 0.000], [3.189, 11.613, 0.000], [0.000, 0.000, 5.615]],
  "species": ["Ba", "Ba", "La", "La", "La", "La", "La", "La", "Ir", "Ir"],
  "fractional_positions": [[0.219, 0.781, 0.750], [0.781, 0.219, 0.250], [0.000, 0.000, 0.000], [0.000, 0.000, 0.500], [0.152, 0.371, 0.750], [0.371, 0.152, 0.250], [0.629, 0.848, 0.750], [0.848, 0.629, 0.250], [0.488, 0.512, 0.750], [0.512, 0.488, 0.250]],
  "space_group": "Cmcm (63)",
  "m_tot_mub_per_cell": 0.00,
  "ef_ev_per_atom": 0.378,
  "polymorph_energy_kj_per_mol_atoms": 67.2,
  "energy_ev_per_atom": -4.74,
  "n_ef_per_ev_atom": 1.471
}

---

[4]
{
  "formula": "YU2SiC4",
  "functional": "PBE",
  "state": "relaxed",
  "lattice_angstrom": [[1.760, -5.663, 0.000], [1.760, 5.663, 0.000], [0.000, 0.000, 11.580]],
  "species": ["Y", "Y", "U", "U", "U", "U", "Si", "Si", "C", "C", "C", "C", "C", "C", "C", "C"],
  "fractional_positions": [[0.106, 0.894, 0.750], [0.894, 0.106, 0.250], [0.372, 0.628, 0.551], [0.372, 0.628, 0.949], [0.628, 0.372, 0.051], [0.628, 0.372, 0.449], [0.161, 0.839, 0.250], [0.839, 0.161, 0.750], [0.000, 0.000, 0.000], [0.000, 0.000, 0.500], [0.263, 0.737, 0.123], [0.263, 0.737, 0.377], [0.428, 0.572, 0.750], [0.572, 0.428, 0.250], [0.737, 0.263, 0.623], [0.737, 0.263, 0.877]],
  "space_group": "Cmcm (63)",
  "m_tot_mub_per_cell": 4.59,
  "energy_ev_per_atom": -9.05,
  "n_ef_per_ev_atom": 0.742
}

---

[5]
{
  "formula": "Na2H3Cl",
  "functional": "PBE",
  "state": "relaxed",
  "lattice_angstrom": [[4.382, -3.665, 0.000], [4.382, 3.665, 0.000], [-3.243, 0.000, 5.523]],
  "species": ["Na", "Na", "Na", "Na", "H", "H", "H", "H", "H", "H", "Cl", "Cl"],
- - -
Here the text continues >
I think mine prefers the carpet for traction. If I see in time, I move him to the tile and hold him so that he doesn't slide around as he heaves. It is becoming more common as he ages -- 16 now. His sight seems to be better or worse from day to day. I feed him a lot of ahi, which seems to help with the sight and stiffness.
16 is a great age! Good to hear that it helps him. Do you feed him the ahi raw or cooked?
Btw, I just realized who you are. ;)
Haven't been here for quite some time...
Mostly raw as he finds the softer texture easier to eat. If I'm cooking it I use an oilier piece and flake it. His teeth seem to be bothering him lately.
It was recommended by a friend who found it helpful with his own joint pain. And I figure lean protein can't be bad for carnivores. A lot of people online swear by it. Heh, some of the sites were all "you may have some difficulty getting your cat to adapt to new foods" but mine was practically singing the Hallelluia chorus. He literally dances around on his hind legs waving his paws in excitement.
Ahi happy dance :D
I can't imagine any cat that would refuse to eat fish. There may be a few really snobby ones that only feed on filet and foie gras, but non of the cats I've known would have had difficulties to adapt to fresh fish.
I think it's more cats that have been raised with only kitty kibble, not switching from one meat to another. I tried offering meat to my aunt's cat when I was watching her and she seemed to find it interesting to sniff, but she wouldn't try it.
A beautiful cat. I love those white paws.
I hope your cats will not take advantage of your new tolerance towards vomit.
@Susanna: What a polite vomiter! She could have taught other cats to do so as well, though.
Btw, I just realized who you are. ;)
Haven't been here for quite some time...
I can't imagine any cat that would refuse to eat fish. There may be a few really snobby ones that only feed on filet and foie gras, but non of the cats I've known would have had difficulties to adapt to fresh fish.
It is not usual here to only feed kibble, it's mostly used like a snack in between the meals.